November 29, 2017

**What comes next are materials data, not part of the piece**
'''
## PrHoPd3 (PBE)

Data for PrHoPd3 after structural relaxation.

Geometry as CIF:
```
data_PrHoPd3
_chemical_formula_sum 'Pr4 Ho4 Pd12'
_symmetry_space_group_name_H-M 'P 1 21/c 1'
_symmetry_Int_Tables_number 14
_cell_length_a 9.2131
_cell_length_b 5.8290
_cell_length_c 8.3530
_cell_angle_alpha 90.00
_cell_angle_beta 100.98
_cell_angle_gamma 90.00
loop_
_symmetry_equiv_pos_as_xyz
'x,y,z'
'-x,-y,-z'
'-x,y+1/2,-z+1/2'
'x,-y+1/2,z+1/2'
loop_
_atom_site_label
_atom_site_type_symbol
_atom_site_fract_x
_atom_site_fract_y
_atom_site_fract_z
Pr1 Pr 0.1147 0.0929 0.2204
Ho1 Ho 0.4407 0.7225 0.6242
Pd1 Pd 0.1171 0.6548 0.0362
Pd2 Pd 0.2573 0.5418 0.3453
Pd3 Pd 0.3478 0.1972 0.5755
```

Computed properties:
- Mass density: 9.428 Mg/m³
- Raw total energy: -5.78 eV/atom
- V: 440 Å³ per cell

* * * * *

--- 1 ---
The following is a GGA-PBE calculation of an optimized crystal structure of ScZnCl2, from the Alexandria database.

**Size of the total moment**: 1.8 Bohr magnetons per cell
**Crystal system**: monoclinic

Cell: 9.4151 3.3429 6.7790 Å, 90.00 104.12 90.00°
Last column: nearest neighbours and their distance in Å.
Space group Cm (No. 8)
One atom of each set of equivalent atoms:
Sc 0.0000 0.0000 0.0000 x2  5 Cl 2.56-2.75
Zn 0.1042 0.5000 0.3564 x2  2 Cl 2.82-3.12, 2 Sc 2.90
Cl 0.0039 0.5000 0.7161 x2  2 Sc 2.56, 1 Zn 2.82
Cl 0.2983 0.0000 0.0493 x2  3 Sc 2.61-2.75



--- 2 ---
The following is a GGA-PBE calculation of an optimized crystal structure of ScZnCl2, from the Alexandria database.

**Size of the total moment**: 0.6 Bohr magnetons per cell
**Crystal system**: monoclinic

Cell: 3.9104 3.5523 7.7163 Å, 90.00 104.49 90.00°
Last column: nearest neighbours and their distance in Å.
Space group Pm (No. 6)
One atom of each set of equivalent atoms:
Sc 0.0000 0.0000 0.0000 x1  3 Cl 2.50-2.51
Zn 0.4176 0.5000 0.8331 x1  4 Sc 2.92, 4 Cl 2.92-2.93
Cl 0.1191 0.5000 0.2379 x1  2 Sc 2.51
Cl 0.8350 0.0000 0.6650 x1  1 Sc 2.50



Quick one: most stable of them? 1



--- 1 ---
The following is a GGA-PBE calculation of an optimized crystal structure of ScZnCl2, from the Alexandria database.

**Size of the total moment**: 0.9 Bohr magnetons per cell
**Crystal system**: tetragonal

Cell: 4.5243 4.5243 3.9715 Å, 90.00 90.00 90.00°
Last column: nearest neighbours and their distance in Å.
Space group P4/mmm (No. 123)
One atom of each set of equivalent atoms:
Sc 0.0000 0.0000 0.0000 x1  8 Cl 3.01, 4 Zn 3.20
Zn 0.5000 0.5000 0.0000 x1  8 Cl 3.01, 4 Sc 3.20
Cl 0.0000 0.5000 0.5000 x2  4 Zn 3.01, 4 Sc 3.01, 4 Cl 3.20



--- 2 ---
The following is a GGA-PBE calculation of an optimized crystal structure of ScZnCl2, from the Alexandria database.

**Size of the total moment**: 1.0 Bohr magnetons per cell
**Crystal system**: orthorhombic

Cell: 3.4926 6.5733 10.7276 Å, 90.00 90.00 90.00°
Last column: nearest neighbours and their distance in Å.
Space group Cmmm (No. 65)
One atom of each set of equivalent atoms:
Sc 0.0000 0.0000 0.0000 x2  4 Cl 2.50
'''

Halifax has not increased cycling numbers in 20 years

The 2016 Census data on  Journey to Work   that was released today is disappointing, but we were not surprised.

While other mid-sized cities across Canada are seeing a steady increase in the number of people cycling, Halifax haven’t seen any increase in cycling rates in 20 years.

The 2016 census data released today shows 1.1% of the population bikes to work as a primary mode of transportation, compared to 1.0% in 2006, 0.9% in 2001, and 1.0% in 1996. Despite our goal to double the proportion people biking to work by 2026 outlined in our 2014 active transportation plan and 2006 regional plan, Halifax has not made a major investment in bike lanes for people of all ages and abilities- and it shows. In our Active Transportation Plan (2014-2019), it’s advises building one protected pilot bike lane every year of the plan and this year will have missed even that objective.

Meanwhile, other mid-sized CMA’s such as Victoria, Calgary, Kelowna, and Ottawa have significantly expanded and upgraded their bike facilities since 2006. As a result, they have seen sizable growth in cycling numbers compared to previous years. Victoria experienced the most significant increase, from 5.6 percent in 2006 to 7.1 percent in 2016 of people using bicycles as a main form of transportation.

Today’s census results are just more evidence that proves if you do not build safe places for cycling, people will not bike.

Is it worth investing in cycling if only 1% of people bike?

Short answer- yes.

A 2017 study from Simon Fraser University compared the impacts of bicycle infrastructure in mid-sized cities.  Their preliminary results found that 2/3 Halifax residents are “interested but are concerned” about riding a bike, and 86 % of Haligonians say they would feel “comfortable to very comfortable” riding a bike on a protected bicycle lane.

Impacts of bicycle infrastructure in mid-sized cities study: Halifax baseline results.

In Halifax, we only have 1.1 kilometers of protected bike lanes- one on Rainnie Drive, and the other on University Avenue. And they are not connected.

Add the census data to the long list of studies that proved if you build safe, connected and convenient bike lane, more people will bike. Only then we will be able to experience the economic, environmental, health, and equity benefits of people using sustainable transportation.

=====
VASP calculation (PBE with a Hubbard U) on a relaxed structure of KRb2Co2F7.

Values from the calculation:
Fermi-level density of states	0.000	states/eV/atom
space-group type	C2/m
M_tot	6.0	μB/cell
E	-56.149	eV per cell

a = 4.171 Å, b = 4.171 Å, c = 11.444 Å
α = 100.45°, β = 100.45°, γ = 89.98°
Sites, in units of the cell vectors:
K 0.000 0.000 0.000
Rb 0.186 0.186 0.368
Rb 0.814 0.814 0.632
Co 0.407 0.407 0.814
Co 0.593 0.593 0.186
F 0.091 0.592 0.183
F 0.316 0.316 0.628
=====

Game Changer: Integrated Mobility Plan

The silver lining in all of this is that change could be just around the corner. The Integrated Mobility Plan will be discussed by our councillors at Committee of the Whole on December 5th at 10:00am. In the proposal, we expect a network of bike lanes that will create a minimum grid throughout the downtown.

If you want to see more safe bicycles lanes and policies in HRM, call or e-mail your councillor (but calling is more effective), and let them know that you support a minimum grid of bike lanes. Then CC and let us know how it went!